Could you copy the whole of the lines below without altering anything?

<<<
{"formula": "C5H13N2O", "method": "ωB97M-V/def2-TZVPD", "species": ["H", "C", "H", "O", "H", "N", "C", "C", "H", "C", "H", "H", "H", "C", "H", "H", "H", "N", "H", "H", "H"], "coordinates": [[0.5848, 0.8896, -1.4815], [-0.1114, -0.5737, 1.0783], [-1.5852, -0.4552, -2.0269], [-0.5989, 1.8216, 1.4646], [-0.6447, -1.5568, 1.0338], [0.4925, 0.0902, -2.1000], [-0.8932, 0.1514, -2.6437], [1.1651, -0.6815, 0.2293], [-1.1929, 0.8891, -0.2694], [0.8457, -1.0654, -1.2259], [1.7092, -1.5536, 0.6373], [0.0468, -1.8233, -1.2844], [1.7550, -1.4954, -1.6816], [-1.0839, 0.7651, 0.8335], [1.1130, 0.2527, 2.5782], [-1.2940, 1.1522, -2.4898], [-2.0060, 0.3521, 1.3204], [0.3690, -0.4167, 2.4625], [1.6880, 0.2846, 0.3422], [-0.7417, -0.2139, -3.6552], [-0.3918, 0.0101, 2.9770]], "forces_ev_per_angstrom": [[0.06, 0.08, -0.16], [0.54, 1.15, 0.55], [0.22, -0.21, -0.56], [0.14, 0.61, -0.26], [0.03, 0.69, -0.16], [-0.36, 0.57, 1.01], [1.08, -0.82, 1.29], [-1.46, -0.76, -0.28], [-0.49, -0.19, 0.23], [0.58, 0.58, -0.89], [0.33, 0.68, 0.07], [0.20, 0.14, 0.21], [-0.28, -0.21, 0.19], [1.20, -1.43, 0.53], [0.00, 0.34, -0.65], [0.18, 0.17, -0.79], [-0.54, 0.15, -0.53], [-0.51, -1.41, 0.72], [0.20, -0.50, -0.29], [-1.08, 0.24, -0.34], [-0.02, 0.14, 0.10]], "mol_weight_g_mol": 117.2, "smiles": "CNCC[C@@H](N)C[O-]", "total_charge": -1, "fmax_ha_per_bohr": 0.0378, "homo_lumo_gap_ev": 6.4581, "de_lowest_kj_mol": 145.78}


{"formula": "C5H13N2O", "method": "ωB97M-V/def2-TZVPD", "species": ["N", "H", "H", "C", "H", "H", "H", "H", "C", "H", "H", "H", "H", "C", "N", "H", "C", "H", "O", "C", "H"], "coordinates": [[-1.7301, -0.4944, 0.9642], [-1.4867, -0.6800, -1.2545], [0.2179, 1.0298, -1.0027], [1.7000, -0.4326, -0.6638], [-1.0966, -0.2437, 1.7202], [-4.3992, 1.0862, 0.0432], [2.5844, 1.0517, 0.4078], [-0.5343, -1.7484, -0.0397], [2.9565, 0.3873, -0.3412], [0.3687, 0.8248, 0.6423], [1.6872, -1.3880, 0.0403], [-3.5987, -0.0097, -0.9483], [3.2805, 0.9690, -1.2153], [-0.8889, -0.7060, -0.3110], [-3.6462, 0.4085, -0.0432], [-3.0936, 0.6547, 1.9688], [-2.8091, 0.2721, 0.9997], [1.7445, -0.7320, -1.7201], [3.8130, -0.4866, 0.3864], [0.3322, 0.2142, -0.2783], [4.5984, 0.0231, 0.6452]], "forces_ev_per_angstrom": [[0.28, 2.30, -1.25], [0.41, -0.12, 1.05], [-0.51, -0.05, -0.12], [-0.78, -2.42, 1.64], [-0.16, -0.64, 0.22], [0.13, -0.36, 0.18], [-0.01, 1.38, 0.36], [-0.32, 0.90, -1.27], [-1.85, -0.55, 1.20], [0.29, -0.79, 0.13], [0.68, 1.60, -1.71], [0.64, -0.41, -0.27], [0.68, -0.57, 0.25], [0.29, -1.96, 1.62], [0.03, 1.16, 1.93], [-0.19, 0.44, -0.10], [-0.56, -1.59, -1.83], [-0.47, -0.22, 0.37], [1.00, 0.47, -0.91], [0.63, 1.77, -1.42], [-0.22, -0.34, -0.08]], "mol_weight_g_mol": 117.2, "smiles": "N/C=[NH+]\\CCCCO", "total_charge": 1, "fmax_ha_per_bohr": 0.0589, "homo_lumo_gap_ev": 9.1794, "de_lowest_kj_mol": 212.71}

=====

The ion C5H14N3 with charge +1 in a non-equilibrium geometry. Source: the OMol25 dataset; level of theory: ωB97M-V/def2-TZVPD.

XYZ file:
```
22
Properties=species:S:1:pos:R:3
C -0.2929 -0.6795 -1.5973
C -0.0174 0.8271 -1.4183
C 0.0553 1.2080 0.0684
C -0.8163 0.3732 1.0021
N -0.3314 -2.2206 3.3991
C -0.8307 -1.5791 2.4384
N -0.1468 -0.8169 1.4938
N 1.3666 1.1086 -2.0420
H -1.3376 -0.8640 -1.8358
H 0.0415 -1.2909 -0.7671
H 0.1973 -1.0779 -2.4828
H -0.7192 1.3567 -2.0448
H -0.1800 2.2412 0.1860
H 1.0997 1.2160 0.4128
H -1.7483 0.0986 0.5097
H -1.0483 1.0299 1.8125
H 0.6713 -2.0969 3.5328
H -1.9060 -1.6630 2.3240
H 0.8488 -0.7562 1.6610
H 1.3824 1.9711 -2.5992
H 1.6363 0.4078 -2.7338
H 2.0758 1.2068 -1.3197
```

Results
Net charge: +1
SMILES: [H]/N=C\NCC[C@H](C)[NH3+]
Relative energy (zero: lowest compared OMol25 entry of this formula, charge and spin) in kcal/mol: 49.29

Atom-resolved charges from natural (NBO), all expressed in e: -0.66, -0.03, -0.43, -0.22, -0.64, 0.27, -0.66, -0.68, 0.26, 0.26, 0.21, 0.23, 0.24, 0.20, 0.21, 0.21, 0.33, 0.17, 0.38, 0.44, 0.45, 0.44

=====

# 1
>>>

{"formula": "C5H13N2O", "method": "ωB97M-V/def2-TZVPD", "species": ["H", "C", "H", "O", "H", "N", "C", "C", "H", "C", "H", "H", "H", "C", "H", "H", "H", "N", "H", "H", "H"], "coordinates": [[0.5848, 0.8896, -1.4815], [-0.1114, -0.5737, 1.0783], [-1.5852, -0.4552, -2.0269], [-0.5989, 1.8216, 1.4646], [-0.6447, -1.5568, 1.0338], [0.4925, 0.0902, -2.1000], [-0.8932, 0.1514, -2.6437], [1.1651, -0.6815, 0.2293], [-1.1929, 0.8891, -0.2694], [0.8457, -1.0654, -1.2259], [1.7092, -1.5536, 0.6373], [0.0468, -1.8233, -1.2844], [1.7550, -1.4954, -1.6816], [-1.0839, 0.7651, 0.8335], [1.1130, 0.2527, 2.5782], [-1.2940, 1.1522, -2.4898], [-2.0060, 0.3521, 1.3204], [0.3690, -0.4167, 2.4625], [1.6880, 0.2846, 0.3422], [-0.7417, -0.2139, -3.6552], [-0.3918, 0.0101, 2.9770]], "forces_ev_per_angstrom": [[0.06, 0.08, -0.16], [0.54, 1.15, 0.55], [0.22, -0.21, -0.56], [0.14, 0.61, -0.26], [0.03, 0.69, -0.16], [-0.36, 0.57, 1.01], [1.08, -0.82, 1.29], [-1.46, -0.76, -0.28], [-0.49, -0.19, 0.23], [0.58, 0.58, -0.89], [0.33, 0.68, 0.07], [0.20, 0.14, 0.21], [-0.28, -0.21, 0.19], [1.20, -1.43, 0.53], [0.00, 0.34, -0.65], [0.18, 0.17, -0.79], [-0.54, 0.15, -0.53], [-0.51, -1.41, 0.72], [0.20, -0.50, -0.29], [-1.08, 0.24, -0.34], [-0.02, 0.14, 0.10]], "mol_weight_g_mol": 117.2, "smiles": "CNCC[C@@H](N)C[O-]", "total_charge": -1, "fmax_ha_per_bohr": 0.0378, "homo_lumo_gap_ev": 6.4581, "de_lowest_kj_mol": 145.78}


{"formula": "C5H13N2O", "method": "ωB97M-V/def2-TZVPD", "species": ["N", "H", "H", "C", "H", "H", "H", "H", "C", "H", "H", "H", "H", "C", "N", "H", "C", "H", "O", "C", "H"], "coordinates": [[-1.7301, -0.4944, 0.9642], [-1.4867, -0.6800, -1.2545], [0.2179, 1.0298, -1.0027], [1.7000, -0.4326, -0.6638], [-1.0966, -0.2437, 1.7202], [-4.3992, 1.0862, 0.0432], [2.5844, 1.0517, 0.4078], [-0.5343, -1.7484, -0.0397], [2.9565, 0.3873, -0.3412], [0.3687, 0.8248, 0.6423], [1.6872, -1.3880, 0.0403], [-3.5987, -0.0097, -0.9483], [3.2805, 0.9690, -1.2153], [-0.8889, -0.7060, -0.3110], [-3.6462, 0.4085, -0.0432], [-3.0936, 0.6547, 1.9688], [-2.8091, 0.2721, 0.9997], [1.7445, -0.7320, -1.7201], [3.8130, -0.4866, 0.3864], [0.3322, 0.2142, -0.2783], [4.5984, 0.0231, 0.6452]], "forces_ev_per_angstrom": [[0.28, 2.30, -1.25], [0.41, -0.12, 1.05], [-0.51, -0.05, -0.12], [-0.78, -2.42, 1.64], [-0.16, -0.64, 0.22], [0.13, -0.36, 0.18], [-0.01, 1.38, 0.36], [-0.32, 0.90, -1.27], [-1.85, -0.55, 1.20], [0.29, -0.79, 0.13], [0.68, 1.60, -1.71], [0.64, -0.41, -0.27], [0.68, -0.57, 0.25], [0.29, -1.96, 1.62], [0.03, 1.16, 1.93], [-0.19, 0.44, -0.10], [-0.56, -1.59, -1.83], [-0.47, -0.22, 0.37], [1.00, 0.47, -0.91], [0.63, 1.77, -1.42], [-0.22, -0.34, -0.08]], "mol_weight_g_mol": 117.2, "smiles": "N/C=[NH+]\\CCCCO", "total_charge": 1, "fmax_ha_per_bohr": 0.0589, "homo_lumo_gap_ev": 9.1794, "de_lowest_kj_mol": 212.71}

=====

The ion C5H14N3 with charge +1 in a non-equilibrium geometry. Source: the OMol25 dataset; level of theory: ωB97M-V/def2-TZVPD.

XYZ file:
```
22
Properties=species:S:1:pos:R:3
C -0.2929 -0.6795 -1.5973
C -0.0174 0.8271 -1.4183
C 0.0553 1.2080 0.0684
C -0.8163 0.3732 1.0021
N -0.3314 -2.2206 3.3991
C -0.8307 -1.5791 2.4384
N -0.1468 -0.8169 1.4938
N 1.3666 1.1086 -2.0420
H -1.3376 -0.8640 -1.8358
H 0.0415 -1.2909 -0.7671
H 0.1973 -1.0779 -2.4828
H -0.7192 1.3567 -2.0448
H -0.1800 2.2412 0.1860
H 1.0997 1.2160 0.4128
H -1.7483 0.0986 0.5097
H -1.0483 1.0299 1.8125
H 0.6713 -2.0969 3.5328
H -1.9060 -1.6630 2.3240
H 0.8488 -0.7562 1.6610
H 1.3824 1.9711 -2.5992
H 1.6363 0.4078 -2.7338
H 2.0758 1.2068 -1.3197
```

Results
Net charge: +1
SMILES: [H]/N=C\NCC[C@H](C)[NH3+]
Relative energy (zero: lowest compared OMol25 entry of this formula, charge and spin) in kcal/mol: 49.29

Atom-resolved charges from natural (NBO), all expressed in e: -0.66, -0.03, -0.43, -0.22, -0.64, 0.27, -0.66, -0.68, 0.26, 0.26, 0.21, 0.23, 0.24, 0.20, 0.21, 0.21, 0.33, 0.17, 0.38, 0.44, 0.45, 0.44

=====

# 1